Q. Please can you give me an overview of 634AI and how the business was founded?

634AI was founded to enable safer, smarter autonomous indoor mobility for everyone, everywhere.  The company was established as an answer to a specific pain point raised by one of our shareholders, Musashi Seimitsu, a global Tier 1 Japanese Auto parts manufacturer and a Honda Motor affiliate company. It wanted to eliminate the 20 per cent long tail of underutilised workforce in its worldwide factories, which has been engaged in manual material handling.

Driven by a vision of simplifying everyday mobile task fulfilment indoors, we’re on a mission to make any indoor task autonomous – from the industrial floor to the airport terminal, the warehouse floor, or the hospital floor, and beyond. 634AI offers practical and affordable tools for indoor mobility in the digital autonomy era.

Q. What are 634AI’s main products and services?

Our product is MAESTRO, the world’s first open API management software for industrial mobility, integrating RTLS driven productivity data, real-time safety, and mobile robots navigation and fleet management — all in a unified system and at a fraction of the price of existing solutions.

MAESTRO is a centralised Control Tower that enables effective and harmonised indoor operations. Its top-down visibility allows customers to experience a fully-coordinated operation of anything mobile. Be it track and trace movements of goods and equipment, real-time safety alerts for man-driven vehicles, or operating fleets of mobile robotic platforms (AGVs and AMRs) in crowded environments, MAESTRO understands everything in motion on the floor and orchestrates the action.

MAESTRO is leading the paradigm shift towards vision-based navigation with complete spatial awareness, enabling not only superior navigation capabilities of mobile robots based on AI, but also semantic applications that allow robots to understand their environment at a more sophisticated level.

Q. What is the main innovation you bring to the market?

MAESTRO is a proprietary vision-based Real-Time Location System, enabling dynamic object detection, classification, and location tracking. The advantages of computer vision and AI removes the need to pre tag objects with expensive hardware to detect or track them in real time. MAESTRO just sees it as it is and understands it, wherever it is, whenever it is.

MAESTRO is leading the paradigm shift towards vision-based navigation with complete spatial awareness, enabling not only superior navigation capabilities of mobile robots based on AI, but also semantic applications that allow robots to understand their environment at a more sophisticated level. Through its panoptic view of the floor, MAESTRO uses vision processing capabilities to put hardware in motion, synchronising indoor mobility of AMRs, man-driven vehicles, raw materials and human workers, for the first time through one integrated system.

Using industrial grade cameras to provide a continuous video stream of the floor from above, MAESTRO generates a ‘breathing’ map of the site. MAESTRO can provide spaghetti diagrams and Heat Maps and can show data like distance travelled and speed. It can map areas that are prone to safety events and provide real-time hazard alerts for man-driven vehicles, for obstacles in the horizon. Its vision capability can even be used to fully navigate vehicles.

Q. What is the greatest challenge that the company overcame?

AMRs are expensive equipment, far beyond the reach of many mid-sized companies. They also suffer from tunnel vision, with a limited ability to map and understand the entire environment and foresee safety events. Each of these AMRs, manufactured by different vendors, comes with its own operating, navigation, and fleet management system. This software bottleneck in AMR operations results in what is known as the interoperability problem.

634AI was able to overcome these major challenges by developing a proprietary architecture that enables cost-effective autonomy. MAESTRO’s vision-based navigation (vSLAM) enables users to strip the vehicle from the expensive hardware components traditionally used for navigation, replacing them with one, centralised, AI-powered brain. The brain is shifted from each end device to a central processing unit which takes full responsibility of floor semantics as well as the AMR navigation. This reduces the costs of traditional robotic platforms because the expensive hardware associated with navigation isn’t necessary.

-- Calculated crystals, kept here for reference --
********
Compound: Li2NbV3O8
Source: the Materials Project database
Functional: GGA+U
Structure: relaxed Values from VASP.

Geometry as Quantum ESPRESSO input:
```
&SYSTEM
  ibrav = 0, nat = 28, ntyp = 4
/
ATOMIC_SPECIES
Li 6.94 Li.upf
Nb 92.91 Nb.upf
V 50.94 V.upf
O 16.00 O.upf
CELL_PARAMETERS angstrom
3.0058 -5.2062 0.0000
3.0058 5.2062 0.0000
0.0000 0.0000 9.7665
ATOMIC_POSITIONS angstrom
Li 3.0058 1.7354 8.7795
Li 0.0000 0.0000 9.6969
Li 0.0000 0.0000 4.8136
Li 3.0058 -1.7354 3.8963
Nb 3.0058 1.7354 4.7942
Nb 3.0058 -1.7354 9.6775
V 3.0058 3.4306 2.1000
V 1.5377 0.8878 2.1000
V 4.4739 0.8878 2.1000
V 1.5377 -0.8878 6.9833
V 4.4739 -0.8878 6.9833
V 3.0058 -3.4306 6.9833
O 3.0058 3.4579 5.7865
O 1.6740 2.5043 3.3607
O 3.0058 1.7354 1.0529
O 0.0000 0.0000 3.0136
O 0.0000 0.0000 7.8969
O 1.5141 0.8742 5.7865
O 4.3376 2.5043 3.3607
O 3.0058 0.1976 3.3607
O 1.5141 -0.8742 0.9032
O 4.4975 0.8742 5.7865
O 3.0058 -0.1976 8.2440
O 1.6740 -2.5043 8.2440
O 3.0058 -1.7354 5.9361
O 4.4975 -0.8742 0.9032
O 4.3376 -2.5043 8.2440
O 3.0058 -3.4579 0.9032
```

Results
space-group type	P6_3mc, No. 186
crystal system	hexagonal
total moment	6.0	μB/f.u.
distance to the lowest polymorph of the same formula	0	meV per atom
E (MP2020)	-8.42	eV/atom
energy relative to the elements	-2.650	eV per atom

~~~~~

No. 1
# r2SCAN Li7Sn3, relaxed
# ΔH_f (0 K): -0.449 eV per atom
# Crystal system: monoclinic
data_Li7Sn3
_chemical_formula_sum 'Li14 Sn6'
_cell_length_a 4.697
_cell_length_b 8.505
_cell_length_c 9.389
_cell_angle_alpha 74.00
_cell_angle_beta 90.00
_cell_angle_gamma 90.00
_space_group_name_H-M_alt 'P 1'
_space_group_IT_number 1
_space_group_name_Hall 'P 1'
loop_
_atom_site_label
_atom_site_fract_x
_atom_site_fract_y
_atom_site_fract_z
Li1 0.750 0.602 0.986
Li2 0.250 0.398 0.014
Li3 0.250 0.201 0.318
Li4 0.250 0.992 0.129
Li5 0.250 0.605 0.724
Li6 0.250 0.186 0.831
Li7 0.750 0.008 0.871
Li8 0.750 0.799 0.682
Li9 0.750 0.814 0.169
Li10 0.250 0.004 0.621
Li11 0.750 0.996 0.379
Li12 0.750 0.395 0.276
Li13 0.750 0.599 0.465
Li14 0.250 0.401 0.535
Sn1 0.750 0.198 0.568
Sn2 0.250 0.802 0.432
Sn3 0.250 0.805 0.916
Sn4 0.750 0.195 0.084
Sn5 0.750 0.403 0.776
Sn6 0.250 0.597 0.224

=====

No. 2
# r2SCAN Li3TiF6, relaxed
# ΔH_f (0 K): -3.363 eV per atom
# Crystal system: monoclinic
data_Li3TiF6
_chemical_formula_sum 'Li18 Ti6 F36'
_cell_length_a 8.345
_cell_length_b 8.345
_cell_length_c 9.984
_cell_angle_alpha 83.35
_cell_angle_beta 83.35
_cell_angle_gamma 63.19
_space_group_name_H-M_alt 'P 1'
_space_group_IT_number 1
_space_group_name_Hall 'P 1'
loop_
_atom_site_label
_atom_site_fract_x
_atom_site_fract_y
_atom_site_fract_z
F1 0.097 0.438 0.383
F2 0.571 0.591 0.062
F3 0.924 0.925 0.174
F4 0.075 0.076 0.326
F5 0.903 0.562 0.617
F6 0.246 0.903 0.571
F7 0.776 0.725 0.352
F8 0.415 0.103 0.389
F9 0.249 0.581 0.681
F10 0.076 0.075 0.826
F11 0.903 0.246 0.071
F12 0.905 0.249 0.562
F13 0.925 0.924 0.674
F14 0.754 0.436 0.815
F15 0.564 0.246 0.685
F16 0.751 0.095 0.938
F17 0.097 0.754 0.929
********
-- The calculated crystals stop here --

This unique central control architecture enables cost-reduction for the robotic platform itself and is completely agnostic to the robot.

MAESTRO’s panoptic view of the floor, powered by a centralised AI engine, enables it to generate tasks for mobile robots completely autonomously across the floor, understanding and navigating the robots effectively and in sync with all other moving objects. This achieves not only AMR interoperability, but full floor interoperability – coordinating the work of AMRs, AGVs, man driven forklifts, raw material movement and people movement on the floor – all in sync and with greater safety.

With MAESTRO, there is no need to pre-tag objects with an additional electromagnetic radiation emitting hardware components, AMRs can be dramatically cheaper, with better floor understanding and completely interoperable with any other mobile devices on the floor, via one management software, at an affordable price.

Q. How do your products and services tie into the growing use of automation in manufacturing?

As the manufacturing sector transitions to be more automated, MAESTRO provides a solution that works for today and tomorrow, compatible with greenfield and brownfield operations, human workers, forklifts, existing AGVs and future AMR adoption.

MAESTRO can streamline processes not just on a micro but on a macro level too. Rather than streamlining the flow of each individual AMR, it can ensure that the entire operation is working in tandem for maximum optimisation. By reducing inconsistencies on the manufacturing floor, MAESTRO supports the machines and the people on the ground, improving coordination and job alignment across the board. For example, MAESTRO can improve the allocation of forklift drivers to forklifts by being able to monitor in real time the location of each forklift and alert a forklift driver of the proximity to an AGV, another forklift, a person, or a static obstacle even out of the line of sight.

Hardware with the level of sophistication required for an AMR to react to its changing surroundings is often extremely expensive and requires many engineers and technicians for maintenance, as well as being exclusive to specific manufacturers. MAESTRO provides a solution that can allow for greater implementation of AMRs across the cost-spectrum, easing manufacturing into the future of AMR technologies without throwing out everything they have built so far.